Upcoming Events
Mother Teresa Catholic Primary School, Ormeau Principal's Tour Wed Mar 26 [12 Days to go] |
## Crystal structures from another source follow
=====
Computed, not measured: crystalline Pm3NdBi4 at its relaxed geometry at the GGA-PBE level of DFT.

Lattice parameters (Å, degrees): 9.171 12.971 4.589 90.00 90.00 90.00
Space group Cmmm (No. 65)
Inequivalent atoms, fractional coordinates:
Pm 0.000 0.000 0.000
Pm 0.250 0.250 0.500
Nd 0.000 0.500 0.000
Bi 0.000 0.249 0.000
Bi 0.249 0.000 0.500

Computed properties:
formation energy from the elements: -0.943 eV per atom
energy above the most stable polymorph in this dataset: 0.006 eV per atom

---

Computed, not measured: crystalline ZrAlSe2 at its relaxed geometry at the GGA-PBE level of DFT.

Lattice parameters (Å, degrees): 4.204 3.593 5.576 90.00 106.07 90.00
Space group Pm (No. 6)
Inequivalent atoms, fractional coordinates:
Zr 0.000 0.000 0.000
Al 0.636 0.500 0.602
Se 0.185 0.000 0.562
Se 0.542 0.500 0.142

Computed properties:
raw formation energy: -0.83 eV per atom

---

Computed, not measured: crystalline Er4Ni2Sb at its relaxed geometry at the GGA-PBE level of DFT.

Lattice parameters (Å, degrees): 12.565 12.642 8.512 90.00 90.00 90.00
Space group Fdd2 (No. 43)
Inequivalent atoms, fractional coordinates:
Er 0.057 0.117 0.000
Er 0.118 0.444 0.838
Ni 0.079 0.171 0.294
Sb 0.000 0.000 0.669

Computed properties:
raw formation energy: -0.46 eV per atom

---

Computed, not measured: crystalline ZrBeIn4 at its relaxed geometry at the GGA-PBE level of DFT.

Lattice parameters (Å, degrees): 8.261 8.261 8.261 90.00 90.00 90.00
Space group F-43m (No. 216)
Inequivalent atoms, fractional coordinates:
Zr 0.000 0.000 0.000
Be 0.250 0.250 0.750
In 0.125 0.125 0.375

Computed properties:
formation energy from the elements: 0.541 eV per atom

---

What did the third record say?
Computed, not measured: crystalline Er4Ni2Sb at its relaxed geometry at the GGA-PBE level of DFT.

Lattice parameters (Å, degrees): 12.565 12.642 8.512 90.00 90.00 90.00
Space group Fdd2 (No. 43)
Inequivalent atoms, fractional coordinates:
Er 0.057 0.117 0.000
Er 0.118 0.444 0.838
Ni 0.079 0.171 0.294
Sb 0.000 0.000 0.669

Computed properties:
raw formation energy: -0.46 eV per atom
=====
Mother Teresa Catholic Primary School, Ormeau Open Day Wed Apr 30 [47 Days to go] |
Mother Teresa Catholic Primary School, Ormeau Principal's Tour Wed May 14 [61 Days to go] |
Mother Teresa Catholic Primary School, Ormeau Principal's Tour Wed May 28 [75 Days to go] |
Mother Teresa Catholic Primary School, Ormeau Principal's Tour Wed Jun 11 [89 Days to go] |
Mother Teresa Catholic Primary School, Ormeau Principal's Tour Wed Jul 23 [131 Days to go] |
?In pursuit of the goals of lifelong learning, each child at Mother Teresa Primary School will participate in an outcomes approach to learning. An outcomes approach is built on the belief that all children will achieve their expected educational outcomes over time, given a broad range of opportunities within a variety of contexts. Outcomes beyond those expected to be achieved will become goals for many children. Our program is both rigorous and flexible to enable such opportunities.
Translink buses service the following areas:
Ormeau, Pimpama, Stapylton, Yatala and Beenleigh.
For up-to-date timetable, route and service information visit: Translink. For further information, click Bus Timetables.
Please click on the link below to find all information required to prepare your child for travelling on Translink's public transport network in South East Queensland.
Public Transport Guide for Parents
Since 1997 the Queensland Government has provided ?funding to enable the non-state school sector to administer a transport assistance scheme for students attending non-state schools.
The Scheme is known as the Non State Schools Transport Assistance Scheme (NSSTAS).
NSSTAS consists of two programs:
Bus Fare Assistance Program (BFAP), and
Students With Disability transport assistance program (SWD).
The purpose of the Bus Fare Assistance Program (BFAP) is to provide financial assistance to families who pay more than a nominated weekly threshold in bus fares to transport their students to a non-state school located outside the Brisbane City Council boundary.
Parents, guardians or carers applying for travel assistance may submit an online application form available during the month of May for Semester One and October for Semester Two on the NSSTAS website at http://www.schooltransport.com.au/
For information regarding eligibility and to apply online, please click here?.
One of the most important decisions we make as parents for our children is the school we choose for their education.
(as voted by site visitors)